-- begin --
Below is a relaxed TbScGeO5 crystal, with properties calculated at the PBE-GGA level.

- DOS(E_F) (states/eV/atom) = 0.0000
- VASP energy (eV/cell) = -252.4
- crystal system = monoclinic
- formation energy from raw total energies (eV/f.u.) = -22.74

Structure (CIF):
```
data_TbScGeO5
_space_group_name_H-M_alt 'C 1 2/c 1'
_space_group_IT_number 15
_space_group_name_Hall '-C 2yc'
_cell_length_a 6.820
_cell_length_b 9.163
_cell_length_c 7.246
_cell_angle_alpha 90.00
_cell_angle_beta 112.71
_cell_angle_gamma 90.00
loop_
_atom_site_label
_atom_site_fract_x
_atom_site_fract_y
_atom_site_fract_z
Tb1 0.000 0.174 0.250
Sc1 0.000 0.500 0.000
Ge1 0.000 0.172 0.750
O1 0.000 0.407 0.250
O2 0.119 0.283 0.620
O3 0.172 0.050 0.928
```



Below is a relaxed Th2Sc4Ge3O2 crystal, with properties calculated at the PBE-GGA level.

- DOS(E_F) (states/eV/atom) = 0.6584
- VASP energy (eV/cell) = -163.5
- crystal system = tetragonal
- formation energy from raw total energies (eV/f.u.) = -17.80

Structure (CIF):
```
data_Th2Sc4Ge3O2
_space_group_name_H-M_alt 'I 4/m m m'
_space_group_IT_number 139
_space_group_name_Hall '-I 4 2'
_cell_length_a 4.302
_cell_length_b 4.302
_cell_length_c 23.502
_cell_angle_alpha 90.00
_cell_angle_beta 90.00
_cell_angle_gamma 90.00
loop_
_atom_site_label
_atom_site_fract_x
_atom_site_fract_y
_atom_site_fract_z
Th1 0.000 0.000 0.197
Sc1 0.000 0.500 0.077
Ge1 0.000 0.000 0.333
Ge2 0.000 0.000 0.500
O1 0.000 0.000 0.088
```



Below is a relaxed ThScGe2O8 crystal, with properties calculated at the PBE-GGA level.

- DOS(E_F) (states/eV/atom) = 0.7076
- VASP energy (eV/cell) = -183.0
- crystal system = tetragonal
- formation energy from raw total energies (eV/f.u.) = -28.83

Structure (CIF):
```
data_ThScGe2O8
_space_group_name_H-M_alt 'I -4 m 2'
_space_group_IT_number 119
_space_group_name_Hall 'I -4 -2'
_cell_length_a 7.013
_cell_length_b 7.013
_cell_length_c 6.537
_cell_angle_alpha 90.00
_cell_angle_beta 90.00
_cell_angle_gamma 90.00
loop_
_atom_site_label
_atom_site_fract_x
_atom_site_fract_y
_atom_site_fract_z
Th1 0.000 0.000 0.000
Sc1 0.000 0.500 0.250
Ge1 0.000 0.000 0.500
Ge2 0.000 0.500 0.750
O1 0.000 0.192 0.321
O2 0.000 0.322 0.940
```
-- stop --
The reader should start at the top of the material above and reproduce each line, ending with the one that has "0.088".
Below is a relaxed TbScGeO5 crystal, with properties calculated at the PBE-GGA level.

- DOS(E_F) (states/eV/atom) = 0.0000
- VASP energy (eV/cell) = -252.4
- crystal system = monoclinic
- formation energy from raw total energies (eV/f.u.) = -22.74

Structure (CIF):
```
data_TbScGeO5
_space_group_name_H-M_alt 'C 1 2/c 1'
_space_group_IT_number 15
_space_group_name_Hall '-C 2yc'
_cell_length_a 6.820
_cell_length_b 9.163
_cell_length_c 7.246
_cell_angle_alpha 90.00
_cell_angle_beta 112.71
_cell_angle_gamma 90.00
loop_
_atom_site_label
_atom_site_fract_x
_atom_site_fract_y
_atom_site_fract_z
Tb1 0.000 0.174 0.250
Sc1 0.000 0.500 0.000
Ge1 0.000 0.172 0.750
O1 0.000 0.407 0.250
O2 0.119 0.283 0.620
O3 0.172 0.050 0.928
```



Below is a relaxed Th2Sc4Ge3O2 crystal, with properties calculated at the PBE-GGA level.

- DOS(E_F) (states/eV/atom) = 0.6584
- VASP energy (eV/cell) = -163.5
- crystal system = tetragonal
- formation energy from raw total energies (eV/f.u.) = -17.80

Structure (CIF):
```
data_Th2Sc4Ge3O2
_space_group_name_H-M_alt 'I 4/m m m'
_space_group_IT_number 139
_space_group_name_Hall '-I 4 2'
_cell_length_a 4.302
_cell_length_b 4.302
_cell_length_c 23.502
_cell_angle_alpha 90.00
_cell_angle_beta 90.00
_cell_angle_gamma 90.00
loop_
_atom_site_label
_atom_site_fract_x
_atom_site_fract_y
_atom_site_fract_z
Th1 0.000 0.000 0.197
Sc1 0.000 0.500 0.077
Ge1 0.000 0.000 0.333
Ge2 0.000 0.000 0.500
O1 0.000 0.000 0.088